Marijuana legalization obviously varies state by state, and so do the laws that surround it. As cannabis brands and dispensaries enter the marketplace, they need to consider both local and federal laws when it comes to suppliers, distribution, and — for our purposes — marketing. Cannabis marketing and advertising presents unique challenges. Here are the marketing laws that are common in most states where pot has been legalized, and how cannabis brands and shops can respond.
Advertise Where the Audience is 21+
Some form of this law exists in every state where marijuana has been legalized for recreational use. In Illinois, for example, brands simply can’t place physical advertisements near places that would specifically draw younger crowds, such as arcades, parks, libraries, or schools. California allows digital advertising, but only on channels where at least 71.6% of the audience is 21 or older.
The benefit of being forced to advertise to a specific demographic — in this case, adults 21 and older — is that your audience is automatically focused. You don’t have to appeal to broader audiences, and can think about where adults in your age range are already spending time and money.
Hawke has invested digital media attention in channels like podcasts, where you can get specific demographic information. In states where paid media is permitted — which comes with its own slew of regulations that vary by territory — you can specify age restrictions when building your ads.
It is also beneficial to the brand to partner with other adult-oriented products, a common one being alcohol. Develop networking partnerships with local breweries and similar establishments that are already reaching your desired audience and operating within your age-compliance laws.
_These records of molecules were left in the page by mistake_
-- begin --
No. 1
95
Properties=species:S:1:pos:R:3:forces:R:3:mulliken_spin:R:1 method="wB97M-V/def2-TZVPD" fmax_ev_per_a=0.9 e_homo_ev="-3.9 / -3.9" lumo_ev="1.1 / 1.0" total_charge=-1 multiplicity=2 s_squared=0.960 gap_ev="5.079 / 4.877"
Fe 0.333 -0.492 0.141 -0.0327 0.2330 0.3053 1.050
S -0.914 -4.467 0.015 -0.0357 -0.0537 0.0629 -0.002
O -0.350 -1.634 1.605 0.6061 -0.1971 -0.5937 0.011
O -0.161 2.476 -0.990 0.0305 0.0212 0.0177 0.014
O 1.208 0.685 -1.039 0.0326 -0.0346 -0.0461 -0.003
N 2.360 0.565 2.560 0.0019 -0.0181 -0.0037 0.018
N 2.101 -1.020 0.763 -0.0136 -0.1364 0.1519 0.009
N 0.464 -1.820 -1.265 0.1651 -0.0054 0.0014 -0.014
N -2.057 1.605 1.228 0.0789 0.0381 0.0344 -0.061
N 2.611 -2.787 -0.782 0.0259 -0.0252 0.0133 0.059
N -1.457 -0.039 -0.429 -0.1890 -0.1332 0.0739 -0.010
N 0.218 0.891 1.512 0.1299 0.1115 -0.1602 -0.051
N -1.652 -1.473 -2.350 0.2294 0.1252 -0.1163 -0.013
N -3.215 -3.334 -0.727 0.0138 -0.1557 0.1265 0.001
N -2.419 -2.601 1.264 0.0136 -0.3077 0.3095 0.002
C -2.202 -3.387 0.183 -0.2227 -0.0189 -0.1637 0.005
C 3.947 -1.226 2.107 -0.0062 -0.0017 0.0018 -0.020
C -2.539 -0.789 5.950 0.0026 -0.0073 -0.0169 0.001
C 5.072 -3.123 1.097 0.0048 0.0039 -0.0141 -0.015
C -0.951 -0.917 4.151 0.1204 0.0061 -0.0100 0.005
C 4.928 -1.105 3.084 0.0096 0.0046 -0.0037 0.005
C -1.870 -1.617 3.375 -0.0169 -0.0337 0.0380 -0.008
C -0.623 4.299 4.494 -0.0097 -0.0032 -0.0095 -0.011
C -5.393 -3.333 0.482 0.0450 -0.0510 0.0285 -0.001
C 0.220 -4.519 -4.999 -0.0003 -0.0022 0.0070 -0.014
C -0.456 -2.013 -2.234 -0.1389 0.0236 -0.0194 0.003
C -4.821 1.395 -0.165 -0.0145 -0.0043 0.0079 0.024
C -5.882 1.132 -1.017 -0.0015 -0.0191 0.0412 -0.004
C 2.027 -4.368 -3.384 -0.0117 -0.0014 0.0223 -0.020
C 1.479 -4.918 -4.532 -0.0069 -0.0035 -0.0113 0.012
C -1.248 3.598 3.478 -0.0053 -0.0039 0.0208 0.028
C -5.738 0.273 -2.114 0.0602 -0.0028 -0.0664 0.021
C -0.520 -3.558 -4.328 0.0515 0.0307 -0.0179 0.010
C 1.219 1.199 2.376 -0.0645 -0.0466 0.0680 0.015
C -3.476 -0.097 -1.516 0.1874 0.4116 -0.2634 0.039
C 2.840 -2.051 0.296 0.0063 0.0829 -0.0529 -0.114
C 1.808 2.550 -2.336 -0.0209 0.0037 0.0033 -0.003
C -4.433 -2.584 -0.437 -0.2039 -0.3769 0.2357 0.000
C -3.614 0.766 -0.435 0.0848 0.1127 -0.0853 0.025
C 1.530 -2.639 -1.502 -0.1147 -0.0035 0.0815 -0.087
C -0.522 2.596 2.847 0.0079 -0.0053 -0.0124 0.008
C 2.723 -0.483 1.844 0.0940 0.1168 -0.0652 -0.081
C 0.787 2.305 3.223 -0.0069 -0.0029 -0.0172 0.027
C 1.415 3.003 4.246 -0.0096 -0.0017 0.0217 -0.015
C -2.313 0.810 0.223 0.0026 0.0506 -0.1156 0.083
C 0.036 -3.010 -3.183 0.0889 0.0150 -0.0488 -0.021
C -2.107 -0.600 -1.467 0.0338 0.1861 -0.0735 0.024
C -3.457 -1.497 5.184 -0.0017 0.0124 0.0031 0.000
C -4.531 -0.354 -2.379 0.0440 0.4076 -0.1673 -0.007
C -1.285 -0.501 5.432 -0.0217 0.0004 -0.0059 0.002
C 4.018 -2.218 1.131 0.0128 0.0039 0.0067 -0.007
C 1.282 -3.407 -2.718 -0.0169 0.0127 -0.0540 -0.005
C -0.851 1.675 1.771 -0.1408 -0.0640 0.0630 0.079
C 6.049 -3.004 2.069 -0.0004 0.0006 0.0046 -0.001
-- stop --
Keep Cannabis Marketing Mature
The idea behind these laws is that, just like not being allowed to advertise to people under age 21, a cannabis brand’s marketing cannot look like it is designed to appeal to younger audiences. In California, mascots are not allowed. In Illinois, a mascot can be used for advertising, but it cannot be in a cartoon form. In Washington, other forms of physical advertising are outlawed for appealing to kids, such as inflatable tubes like you’d see at a car dealership.
As with age compliance, there’s no reason these laws need to hinder your marketing strategy as a cannabis brand. Quite the opposite, they empower your brand to focus marketing on the aspects of your business that really matter. For cannabis products, focus on the quality of your goods. Speak to how the product is sourced, how it makes customers feel, and so on. Better yet, dispel misconceptions about marijuana and speak to how your product is the mature, quality answer to potential users’ concerns.
If you’re a dispensary, focus on service. The speed of service, the expertise of your salespeople, or the variety of products can all be used to appeal to different demographics without ever resorting to elementary marketing tactics. This more tangible approach to marketing will help customers understand, resonate with, and remember your brand’s core values and mission.
Steer Clear of Explicit References
These regulations can be the trickiest for marketers, and they’re definitely the ones that vary the most from state to state. In some states, you just can’t show a product being used. In others, you can’t show the physical product at all, such as leaves or buds. In other states still, you cannot use certain words. In Washington, for example, marketing materials cannot use a set list of words that includes “leaf” and “joint.”
The first thing advertisers should do to stay in compliance is conduct some SEO research. When people search for your business, what are they looking for specifically? This will guide the terminology you should be operating in for your business in general, and then you can research the laws around those terms as a next step. Perhaps your marketing materials aren’t allowed to say “marijuana,” but they can say “420.” If your research proves that your audience knows and searches for that term, this law isn’t an issue at all.
Besides looking for technical work-arounds, the smartest thing your brand can do to advertise cannabis is get clever. Perhaps you don’t need to conduct a traditional marketing campaign at all. Weedmaps saw success by using its media to promote marijuana education, dispelling misconceptions and concerns over their product. It served more as a public service announcement, but effectively built the brand’s authority and public awareness.
**Quantum chemistry results that have nothing to do with the entry**
-- begin --
{"formula": "C5H16NSi", "method": "ωB97M-V/def2-TZVPD", "elements": ["H", "H", "H", "C", "H", "H", "C", "H", "H", "H", "C", "H", "H", "H", "C", "H", "H", "H", "C", "H", "Si", "N", "H"], "coordinates": [[-1.85678, -0.78139, 2.72516], [-2.49028, -1.98455, -0.00748], [2.44672, -1.85385, -1.02157], [1.45670, -1.63454, -1.04823], [-2.82760, -0.45438, -0.56754], [1.18399, 3.49836, -1.59569], [-2.02243, -1.02991, -0.19829], [0.34740, 3.04653, 0.62471], [1.59208, 0.57706, 0.98264], [0.10573, -0.01188, -1.56276], [1.32569, 0.86281, -0.09996], [2.82434, 3.12241, 0.02706], [-0.44958, -1.14109, 1.02401], [0.93898, -2.31801, -1.71159], [1.11584, -0.08433, -1.18271], [-0.85016, 0.57666, 2.51366], [-1.34516, -1.27003, -1.08139], [1.56687, 0.16832, -2.11232], [-1.70711, 0.03942, 2.01015], [-2.59586, 0.58870, 1.81471], [1.43610, 2.67644, -0.26288], [-1.14012, -0.50213, 0.78468], [0.94465, -2.09061, -0.05440]], "forces_ev_per_angstrom": [[-0.7, 0.1, -0.1], [0.0, -0.6, 0.7], [3.0, -0.4, 0.1], [-4.9, 0.2, 3.5], [-0.5, 1.5, 0.0], [0.0, -1.5, 1.0], [1.8, -1.6, -2.1], [-0.1, 0.2, 0.7], [-0.5, -0.2, -1.7], [-1.0, 0.4, 0.2], [-0.1, -2.1, 0.5], [-0.2, -0.5, 0.6], [1.3, -1.5, 0.3], [0.1, 0.6, -1.0], [0.9, -3.0, 0.5], [-1.3, 0.3, -0.5], [-0.9, 0.3, 0.5], [1.0, 1.2, -0.8], [2.4, -0.9, 1.2], [-0.5, 0.7, 0.1], [-0.2, 3.4, -2.0], [-1.0, 2.3, 0.0], [1.6, 1.3, -1.7]], "mulliken_charge": [0.35, 0.33, 0.42, -1.18, 0.39, -0.03, -0.88, -0.02, 0.40, 0.34, 0.00, -0.01, 0.15, 0.36, -0.44, 0.26, 0.14, 0.55, -0.93, 0.34, 0.25, -0.01, 0.21], "e_lumo_ev": -6.8227, "e_above_lowest_kcal_mol": 110.67, "max_force_ev_per_a": 6.02, "total_charge": 1, "homo_ev": -12.945, "homo_lumo_gap_ev": 6.12, "energy_ev": -14800.619}
-- stop --
**End of the quantum chemistry results**
How To Combine It All
For every good cannabis marketing idea your brand has, a lot of compliance research will need to be conducted. Perhaps you intend to get around using explicit terms by focusing on the effects of your product — relaxation, laughter, and so on — but you find that you operate in a state that requires researched data to be included with any claims of positive effects. It can get tricky to navigate, but effective marketers see each regulation and restriction as an opportunity for innovation.
If you need help staying in compliance without compromising your advertising message, contact Hawke Media. We’ve worked with numerous cannabis brands, and have seen success in both digital and physical media. Whether it’s building branding from the ground up or figuring out how to get legal copy on approved channels, Hawke can get your brand as high as you want to soar.